## Source
-- begin --
1.
The following is a PBE calculation of a geometry-optimized Mg4Si3 structure, from the Materials Project database.

Results
Size of the total moment, μB/f.u.: 0.00
E_form, eV per atom: 0.5476

a b c (Å): 7.8997 13.5063 14.9268
angles (deg): 144.24 37.15 134.12
Element x y z (fractional)
1 Mg 0.4191 0.9908 0.3642
2 Mg 0.0366 0.0098 0.1509
3 Mg 0.2595 0.1163 0.7072
4 Mg 0.6420 0.5973 0.4205
5 Mg 0.2595 0.6163 0.2072
6 Mg 0.6420 0.0973 0.9205
7 Mg 0.0366 0.5098 0.6509
8 Mg 0.4191 0.4908 0.8642
9 Si 0.3394 0.3036 0.2857
10 Si 0.9364 0.3704 0.0650
11 Si 0.7421 0.2367 0.5064
12 Si 0.9364 0.8704 0.5650
13 Si 0.3394 0.8036 0.7857
14 Si 0.7421 0.7367 0.0064

2.
The following is a PBE calculation of a geometry-optimized Mg2Si3 structure, from the Materials Project database.

Results
Size of the total moment, μB/f.u.: 0.00
E_form, eV per atom: 0.1610

a b c (Å): 3.5589 6.1834 18.2437
angles (deg): 83.76 84.44 73.28
Element x y z (fractional)
1 Si 0.4844 0.2163 0.8182
2 Si 0.6831 0.0628 0.4831
3 Si 0.8111 0.2756 0.1209
4 Si 0.7367 0.1716 0.3567
5 Si 0.2260 0.6129 0.9428
6 Si 0.2570 0.8584 0.6507
7 Si 0.1036 0.4449 0.3494
8 Si 0.5988 0.1256 0.6888
9 Si 0.8296 0.4902 0.8594
10 Si 0.3476 0.2875 0.0346
11 Si 0.8708 0.7350 0.5644
12 Si 0.9826 0.8788 0.1571
13 Mg 0.0387 0.2897 0.5617
14 Mg 0.3306 0.0986 0.2462
15 Mg 0.6047 0.7407 0.0543
16 Mg 0.4088 0.7178 0.4261
17 Mg 0.9021 0.5019 0.7105
18 Mg 0.1828 0.8435 0.7995
19 Mg 0.6034 0.5734 0.2322
20 Mg 0.9973 0.0747 0.9434

3.
The following is a PBE calculation of a geometry-optimized Mg3Si4 structure, from the Materials Project database.

Results
Size of the total moment, μB/f.u.: 0.00
E_form, eV per atom: 0.1297

a b c (Å): 6.3936 6.5706 7.1686
angles (deg): 71.71 68.66 79.79
Element x y z (fractional)
1 Mg 0.5972 0.1476 0.4129
2 Mg 0.8366 0.2906 0.9015
3 Mg 0.3185 0.6546 0.4762
4 Mg 0.3567 0.2919 0.8695
5 Mg 0.0979 0.1947 0.3823
6 Mg 0.0400 0.8639 0.1760
7 Si 0.7304 0.4687 0.5268
8 Si 0.5103 0.8528 0.8595
9 Si 0.8514 0.7572 0.6071
10 Si 0.7257 0.5985 0.1727
11 Si 0.1972 0.0060 0.7393
12 Si 0.5419 0.9645 0.1389
13 Si 0.3970 0.5145 0.1159
14 Si 0.0528 0.6478 0.8680

4.
The following is a PBE calculation of a geometry-optimized Mg5Si6 structure, from the Materials Project database.

Results
Size of the total moment, μB/f.u.: 0.00
E_form, eV per atom: 0.1197

a b c (Å): 14.3332 14.3332 4.3761
angles (deg): 89.11 89.11 27.18
Element x y z (fractional)
1 Si 0.7615 0.1883 0.2529
2 Si 0.4390 0.6003 0.7467
3 Si 0.8075 0.6755 0.7488
4 Si 0.3605 0.8291 0.7359
5 Si 0.7241 0.8243 0.2471
6 Si 0.3245 0.1925 0.2512
7 Si 0.6748 0.6318 0.7585
8 Si 0.1757 0.2759 0.7529
9 Si 0.3997 0.5610 0.2533
10 Si 0.3682 0.3252 0.2415
11 Si 0.8117 0.2385 0.7471
12 Si 0.1709 0.6395 0.2641
13 Mg 0.9162 0.4639 0.2533
14 Mg 0.5036 0.3306 0.7518
15 Mg 0.5361 0.0838 0.7467
16 Mg 0.0564 0.6146 0.7651
17 Mg 0.1237 0.9742 0.2401
18 Mg 0.0258 0.8763 0.7599
19 Mg 0.3854 0.9436 0.2349
20 Mg 0.6694 0.4964 0.2482
21 Mg 0.0154 0.2282 0.7486
22 Mg 0.7718 0.9846 0.2514

5.
The following is a PBE calculation of a geometry-optimized Mg4Si3 structure, from the Materials Project database.

Results
Size of the total moment, μB/f.u.: 0.00
E_form, eV per atom: 0.0618

a b c (Å): 6.5577 7.1845 8.2508
angles (deg): 79.14 56.80 108.96
Element x y z (fractional)
1 Mg 0.4024 0.9430 0.1660
2 Mg 0.8085 0.4158 0.0429
3 Mg 0.8662 0.7643 0.6821
4 Mg 0.9324 0.0654 0.2467
5 Mg 0.0926 0.1556 0.7969
6 Mg 0.7840 0.5021 0.4168
7 Mg 0.3766 0.8928 0.8090
8 Mg 0.3163 0.6386 0.5366
9 Si 0.4234 0.0865 0.4543
10 Si 0.7579 0.3025 0.7551
11 Si 0.0681 0.2083 0.4765
12 Si 0.3419 0.4828 0.8539
13 Si 0.3322 0.5457 0.1423
14 Si 0.7471 0.7464 0.1208

6.
The following is a PBE calculation of a geometry-optimized Mg2Si3 structure, from the Materials Project database.

Results
Size of the total moment, μB/f.u.: 0.00
E_form, eV per atom: 0.1543

a b c (Å): 4.2584 5.5385 8.4939
angles (deg): 77.90 82.46 72.27
Element x y z (fractional)
1 Si 0.4529 0.8448 0.6120
-- stop --

## Request
Filter the block further up: keep the lines with the word "of".

## Completed
The following is a PBE calculation of a geometry-optimized Mg4Si3 structure, from the Materials Project database.
Size of the total moment, μB/f.u.: 0.00
The following is a PBE calculation of a geometry-optimized Mg2Si3 structure, from the Materials Project database.
Size of the total moment, μB/f.u.: 0.00
The following is a PBE calculation of a geometry-optimized Mg3Si4 structure, from the Materials Project database.
Size of the total moment, μB/f.u.: 0.00
The following is a PBE calculation of a geometry-optimized Mg5Si6 structure, from the Materials Project database.
Size of the total moment, μB/f.u.: 0.00
The following is a PBE calculation of a geometry-optimized Mg4Si3 structure, from the Materials Project database.
Size of the total moment, μB/f.u.: 0.00
The following is a PBE calculation of a geometry-optimized Mg2Si3 structure, from the Materials Project database.
Size of the total moment, μB/f.u.: 0.00